Wednesday, January 13, 2010

Our BIG move to Dallas..... All the details

# The piece is interrupted by records of crystals
/*
Pm2Ho3TmAs6 | GGA-PBE | optimized geometry

Unit cell a=4.1432 b=8.2802 c=9.2582 alpha=102.91 beta=102.93 gamma=90.00
Atoms (fractional coordinates):
Pm  0.8343  0.6681  0.6686
Pm  0.1657  0.3319  0.3314
Ho  0.5000  0.5000  0.0000
Ho  0.8328  0.1661  0.6656
Ho  0.1672  0.8339  0.3344
Tm  0.5000  0.0000  0.0000
As  0.3343  0.9234  0.6687
As  0.6648  0.5880  0.3296
As  0.6657  0.0766  0.3313
As  0.9976  0.2468  0.9952
As  0.0024  0.7532  0.0048
As  0.3352  0.4120  0.6704

Computed properties:
Total moment   0.000 Bohr magnetons per cell
Raw total energy   -73.80 eV per formula unit
Formation energy from the elements   -1.52 eV per atom

=====

HfSi2RuSe | GGA-PBE | optimized geometry

Unit cell a=4.4484 b=5.3014 c=4.4484 alpha=90.00 beta=90.00 gamma=90.00
Atoms (fractional coordinates):
Ru  0.0000  0.0000  0.0000
Si  0.0000  0.0000  0.5000
Si  0.5000  0.0000  0.0000
Hf  0.0000  0.5000  0.0000
Se  0.5000  0.5000  0.5000

Computed properties:
Total moment   0.000 Bohr magnetons per cell
Raw total energy   -33.84 eV per formula unit
Formation energy from raw total energies   -56 meV per atom

=====

Hf2Se2I | GGA-PBE | optimized geometry

Unit cell a=7.9566 b=7.9566 c=3.4936 alpha=90.00 beta=90.00 gamma=90.00
Atoms (fractional coordinates):
I  0.0000  0.0000  0.0000
I  0.5000  0.5000  0.0000
Hf  0.3673  0.8673  0.0000
Hf  0.8673  0.6327  0.0000
Hf  0.6327  0.1327  0.0000
Hf  0.1327  0.3673  0.0000
Se  0.1417  0.6417  0.5000
Se  0.6417  0.8583  0.5000
Se  0.8583  0.3583  0.5000
Se  0.3583  0.1417  0.5000

Computed properties:
Total moment   0.000 Bohr magnetons per cell
Raw total energy   -31.95 eV per formula unit
Formation energy from raw total energies   -706 meV per atom

=====

AlP2Rh | GGA-PBE | optimized geometry

Unit cell a=3.5035 b=3.5242 c=4.9459 alpha=90.00 beta=90.00 gamma=90.00
Atoms (fractional coordinates):
P  0.0000  0.0000  0.9060
P  0.5000  0.5000  0.3518
Rh  0.0000  0.0000  0.3931
Al  0.5000  0.5000  0.8491

Computed properties:
Total moment   0.000 Bohr magnetons per cell
Raw total energy   -22.93 eV per formula unit
Formation energy from the elements   -0.25 eV per atom

----------

# 1
Compound: Re2TeAu
Source: the Alexandria database
Functional: PBE-GGA
Structure: relaxed

a = 4.7172 Å, b = 3.0504 Å, c = 5.2204 Å
α = 90.00°, β = 112.36°, γ = 90.00°
Fractional positions:
Re (0.0000, 0.0000, 0.0000)
Re (0.0000, 0.5000, 0.5000)
Te (0.5000, 0.0000, 0.5000)
Au (0.5000, 0.5000, 0.0000)

As for the volume: 17.4 Å³/atom. For the total energy, the calculation gives -6.97 eV/atom. Its crystal system is monoclinic. Its uncorrected formation energy is 855.6 meV/atom. Its spin magnetization is 0.00 Bohr magnetons per cell.

***

# 2
Compound: ReTeAu
Source: the Alexandria database
Functional: PBE-GGA
Structure: relaxed

a = 3.1389 Å, b = 3.1389 Å, c = 12.6647 Å
α = 90.00°, β = 90.00°, γ = 90.00°
Fractional positions:
Re (0.0000, 0.0000, 0.0000)
Re (0.5000, 0.5000, 0.5000)
Te (0.0000, 0.0000, 0.6276)
Te (0.5000, 0.5000, 0.1276)
*/

Now that I have a free second; almost forgot what that was, I will let you all know how the move went. Hold on for the ride......

Our wonderful Haven ward members helped Mike on Friday 1/1 load the last of our 2 moving trucks. When Mike went to get truck #1 from the back of the apartment complex, he was able to drive a few feet then the truck stopped. This truck had taken Mike 3 painstaking days to load and there wasn't an inch of room left for anything and there it was, DEAD in the back of the Copper Creek apartment complex. I thought we were about to cry at that point. Penske sent 2 different mechanics to look at the truck and both insisted it could get fixed without having to reload trucks. After about 3 hours we got word that Penske was sending a REPLACEMENT truck that would have to be reloaded with the stuff from the broken down one. High note: They sent movers, so Mike didn't have to deal with it, but they were not able to get onto the road until nearly 8pm. The 2nd truck was done being loaded by 1:30pm.

We thought the 2 trucks would be enough to get all our stuff to Dallas. WRONG. We ended up having to give things to the wonderful helpers from our ward. The only thing I was bummed about was the changing table for Michael. I was still using it, and had planned on using for the next little Hughes. High note: it was given to us by my former boss, who I DON'T like, so bye, bye table.

Michael and I stayed at Mike's mom's house for 5 days until we flew out on Wednesday 1/6. It was fun watching Michael play with his grandma & grandpa. I did some baking (see post about the kolachie's & monkey bread). Makes me excited to get my kitchen together and start here.

The wonderful electric company of Reliant Energy in Dallas took 5 days to get our power on. They were 5 days late, past the date it needed to be on. By the time they finally pulled their head out of their a$$, I was on the phone with them about 4x a day. I was so freaking annoyed with them. Had we not paid them a huge unrealistic deposit, and had I known that Dallas has multiple electric companies I would have done more research.

Power gets on, and 12 hours later..... Power goes off. "Outage in the neighborhood" Yeah, right. Back on amazingly 5 minutes after we call.

The house we are renting decides to have some plumbing issues in the master bath 2 days after I get here, and few days after the owners go on their 6 month vacation (yeah, how would THAT be??) "Not covered by their home warranty" Finally got fixed yesterday after their property manager had to pay the bill. Made us glad we didn't own this home.

If your ever in Dallas, DON'T drink the water. Or find out if it's filtered first. I almost threw up in a restaurant the first time I had a glass of this most delicious tasting MILDEW water. Mildew is what it tastes like. You know what it smells like, so come to Dallas to see what it tastes like. Freaking nasty. By the way, this even affects the fountain drinks you get in restaurants. Yeah, it's everywhere. If you think Vegas water is bad, you have no idea.

Monday, Michael was starting to act abit off, so I figured he was coming down with something. By Monday night he was crying non stop and didn't sleep hardly at all. I finally got him to sleep in my arms on the recliner. I have never heard him cough like that, nor gasp for a breath. After not being able to find a pediatrician to take him to, Mike took him to Urgent Care, while I had to wait for the plumber (who showed up 4 hours late). Michael has a upper Respiratory infection, and is on antibiotics and confined to the house for the rest of the week.

Because all our stuff is still buried in the garage, I had to go get another humidifier ( i am sure this will be one of the first items we find when we can get to finding our stuff).
Yes, all our non perishable foods, pots & pans, plates, utensils are buried in boxes in the garage. All of which with Mike starting his job on Monday and Michael being sick I have not had a chance to even tackle.

Anyone want to move to Dallas?????


1 comment:

  1. I know what you mean by the water. I've gotten used to it. Lara uses a filter pitcher for their drinking water. I hope things get better. Did you go in the Museum on the top floor of the building where JFK was shot? It was really interesting. Remember to check out the Dallas Arboretum and I promise you. Once you go to Fossil Rim ( you will think the move was worth it. Hope things start to go better.
